• Data:
____________
YCoSe3 (PBE-GGA, optimized geometry); symmetry = Pm-3m (221); energy = -5.351 eV per atom; energy above the most stable polymorph in this dataset = 0.0 meV per atom; E_form (uncorrected) = -0.55 eV per atom
1.0
-4.706 -0.393 0.208
0.391 -4.711 -0.068
0.213 -0.051 4.722
Co Se Y
1 3 1
direct
0.000 0.000 0.000 Co
0.000 0.500 0.000 Se
0.000 0.000 0.500 Se
0.500 0.000 0.000 Se
0.500 0.500 0.500 Y

---

YCo3Se (PBE-GGA, optimized geometry); symmetry = Pm-3m (221); energy = -6.150 eV per atom; energy above the most stable polymorph in this dataset = 0.0 meV per atom; E_form (uncorrected) = 0.10 eV per atom
1.0
-2.115 -3.804 -0.476
1.454 -0.293 -4.120
3.547 -2.149 1.405
Co Y Se
3 1 1
direct
0.500 0.000 0.000 Co
0.000 0.000 0.500 Co
0.000 0.500 0.000 Co
0.500 0.500 0.500 Y
0.000 0.000 0.000 Se

---

Y5Co2Se2 (PBE-GGA, optimized geometry); symmetry = Cmce (64); energy = -6.782 eV per atom; E_form (uncorrected) = -0.84 eV per atom
1.0
-0.357 -0.601 7.485
-4.921 -5.522 -0.678
5.401 -5.257 3.610
Y Se Co
10 4 4
direct
0.296 0.664 0.747 Y
0.500 0.500 0.000 Y
0.000 0.000 0.000 Y
0.704 0.336 0.253 Y
0.796 0.836 0.747 Y
0.204 0.164 0.253 Y
0.957 0.336 0.747 Y
0.457 0.164 0.747 Y
0.043 0.664 0.253 Y
0.543 0.836 0.253 Y
0.207 0.000 0.587 Se
0.793 0.000 0.413 Se
0.293 0.500 0.413 Se
0.707 0.500 0.587 Se
0.616 0.110 0.000 Co
0.384 0.890 0.000 Co
0.116 0.390 0.000 Co
0.884 0.610 0.000 Co

---

YCo2Se2 (PBE-GGA, optimized geometry); symmetry = I4/mmm (139); energy = -6.139 eV per atom; E_form (uncorrected) = -0.61 eV per atom
1.0
3.826 0.000 0.000
0.000 3.826 0.000
1.913 1.913 5.747
Co Se Y
2 2 1
direct
0.250 0.750 0.500 Co
0.750 0.250 0.500 Co
0.632 0.632 0.735 Se
0.368 0.368 0.265 Se
0.000 0.000 0.000 Y

---

YCoSe3 (PBE-GGA, optimized geometry); symmetry = Pm-3m (221); energy = -4.555 eV per atom; energy above the most stable polymorph in this dataset = 796.1 meV per atom; E_form (uncorrected) = 0.25 eV per atom
1.0
5.432 0.000 0.000
0.000 5.432 0.000
0.000 0.000 5.432
Se Y Co
3 1 1
direct
0.000 0.000 0.500 Se
0.000 0.500 0.000 Se
0.500 0.000 0.000 Se
0.000 0.000 0.000 Y
0.500 0.500 0.500 Co

---

YCo3Se (PBE-GGA, optimized geometry); symmetry = Pm-3m (221); energy = -4.576 eV per atom; energy above the most stable polymorph in this dataset = 1573.9 meV per atom; E_form (uncorrected) = 1.68 eV per atom
1.0
-3.471 -0.984 -3.058
-2.324 -2.340 3.391
-2.219 3.991 1.234
Co Se Y
3 1 1
direct
0.000 0.500 0.000 Co
0.000 0.000 0.500 Co
0.500 0.000 0.000 Co
0.500 0.500 0.500 Se
0.000 0.000 0.000 Y

---

Y4CoSe3 (PBE-GGA, optimized geometry); symmetry = P2/c (13); energy = -6.802 eV per atom; E_form (uncorrected) = -1.38 eV per atom
1.0
6.904 0.020 0.000
-2.403 6.828 0.000
0.000 0.000 8.181
Se Y Co
6 8 2
direct
0.750 0.000 0.383 Se
0.250 0.500 0.875 Se
0.750 0.500 0.125 Se
0.750 0.500 0.614 Se
0.250 0.500 0.386 Se
0.250 0.000 0.617 Se
0.505 0.227 0.883 Y
0.995 0.773 0.883 Y
0.495 0.773 0.117 Y
0.005 0.227 0.117 Y
0.478 0.231 0.347 Y
0.978 0.231 0.653 Y
0.022 0.769 0.347 Y
0.522 0.769 0.653 Y
0.750 0.000 0.884 Co
0.250 0.000 0.116 Co

---

YCoSe4 (PBE-GGA, optimized geometry); symmetry = F-43m (216); energy = -4.243 eV per atom; E_form (uncorrected) = 0.34 eV per atom
1.0
-1.516 -0.460 5.461
0.375 4.509 3.444
-4.726 2.554 1.864
Se Co Y
4 1 1
direct
0.374 0.374 0.374 Se
0.374 0.374 0.878 Se
0.878 0.374 0.374 Se
0.374 0.878 0.374 Se
0.000 0.000 0.000 Co
0.750 0.750 0.750 Y

---

Y3CoSe (PBE-GGA, optimized geometry); symmetry = Pm-3m (221); energy = -6.344 eV per atom; energy above the most stable polymorph in this dataset = 376.7 meV per atom; E_form (uncorrected) = -0.35 eV per atom
1.0
-0.513 3.777 3.474
-4.395 1.479 -2.256
-2.649 -3.185 3.072
Y Se Co
3 1 1
direct
0.500 0.000 0.000 Y
0.000 0.500 0.000 Y
0.000 0.000 0.500 Y
0.500 0.500 0.500 Se
0.000 0.000 0.000 Co

---
____________

• Job:
Write out everything further up word for word.

• Reply:
YCoSe3 (PBE-GGA, optimized geometry); symmetry = Pm-3m (221); energy = -5.351 eV per atom; energy above the most stable polymorph in this dataset = 0.0 meV per atom; E_form (uncorrected) = -0.55 eV per atom
1.0
-4.706 -0.393 0.208
0.391 -4.711 -0.068
0.213 -0.051 4.722
Co Se Y
1 3 1
direct
0.000 0.000 0.000 Co
0.000 0.500 0.000 Se
0.000 0.000 0.500 Se
0.500 0.000 0.000 Se
0.500 0.500 0.500 Y

---

YCo3Se (PBE-GGA, optimized geometry); symmetry = Pm-3m (221); energy = -6.150 eV per atom; energy above the most stable polymorph in this dataset = 0.0 meV per atom; E_form (uncorrected) = 0.10 eV per atom
1.0
-2.115 -3.804 -0.476
1.454 -0.293 -4.120
3.547 -2.149 1.405
Co Y Se
3 1 1
direct
0.500 0.000 0.000 Co
0.000 0.000 0.500 Co
0.000 0.500 0.000 Co
0.500 0.500 0.500 Y
0.000 0.000 0.000 Se

---

Y5Co2Se2 (PBE-GGA, optimized geometry); symmetry = Cmce (64); energy = -6.782 eV per atom; E_form (uncorrected) = -0.84 eV per atom
1.0
-0.357 -0.601 7.485
-4.921 -5.522 -0.678
5.401 -5.257 3.610
Y Se Co
10 4 4
direct
0.296 0.664 0.747 Y
0.500 0.500 0.000 Y
0.000 0.000 0.000 Y
0.704 0.336 0.253 Y
0.796 0.836 0.747 Y
0.204 0.164 0.253 Y
0.957 0.336 0.747 Y
0.457 0.164 0.747 Y
0.043 0.664 0.253 Y
0.543 0.836 0.253 Y
0.207 0.000 0.587 Se
0.793 0.000 0.413 Se
0.293 0.500 0.413 Se
0.707 0.500 0.587 Se
0.616 0.110 0.000 Co
0.384 0.890 0.000 Co
0.116 0.390 0.000 Co
0.884 0.610 0.000 Co

---

YCo2Se2 (PBE-GGA, optimized geometry); symmetry = I4/mmm (139); energy = -6.139 eV per atom; E_form (uncorrected) = -0.61 eV per atom
1.0
3.826 0.000 0.000
0.000 3.826 0.000
1.913 1.913 5.747
Co Se Y
2 2 1
direct
0.250 0.750 0.500 Co
0.750 0.250 0.500 Co
0.632 0.632 0.735 Se
0.368 0.368 0.265 Se
0.000 0.000 0.000 Y

---

YCoSe3 (PBE-GGA, optimized geometry); symmetry = Pm-3m (221); energy = -4.555 eV per atom; energy above the most stable polymorph in this dataset = 796.1 meV per atom; E_form (uncorrected) = 0.25 eV per atom
1.0
5.432 0.000 0.000
0.000 5.432 0.000
0.000 0.000 5.432
Se Y Co
3 1 1
direct
0.000 0.000 0.500 Se
0.000 0.500 0.000 Se
0.500 0.000 0.000 Se
0.000 0.000 0.000 Y
0.500 0.500 0.500 Co

---

YCo3Se (PBE-GGA, optimized geometry); symmetry = Pm-3m (221); energy = -4.576 eV per atom; energy above the most stable polymorph in this dataset = 1573.9 meV per atom; E_form (uncorrected) = 1.68 eV per atom
1.0
-3.471 -0.984 -3.058
-2.324 -2.340 3.391
-2.219 3.991 1.234
Co Se Y
3 1 1
direct
0.000 0.500 0.000 Co
0.000 0.000 0.500 Co
0.500 0.000 0.000 Co
0.500 0.500 0.500 Se
0.000 0.000 0.000 Y

---

Y4CoSe3 (PBE-GGA, optimized geometry); symmetry = P2/c (13); energy = -6.802 eV per atom; E_form (uncorrected) = -1.38 eV per atom
1.0
6.904 0.020 0.000
-2.403 6.828 0.000
0.000 0.000 8.181
Se Y Co
6 8 2
direct
0.750 0.000 0.383 Se
0.250 0.500 0.875 Se
0.750 0.500 0.125 Se
0.750 0.500 0.614 Se
0.250 0.500 0.386 Se
0.250 0.000 0.617 Se
0.505 0.227 0.883 Y
0.995 0.773 0.883 Y
0.495 0.773 0.117 Y
0.005 0.227 0.117 Y
0.478 0.231 0.347 Y
0.978 0.231 0.653 Y
0.022 0.769 0.347 Y
0.522 0.769 0.653 Y
0.750 0.000 0.884 Co
0.250 0.000 0.116 Co

---

YCoSe4 (PBE-GGA, optimized geometry); symmetry = F-43m (216); energy = -4.243 eV per atom; E_form (uncorrected) = 0.34 eV per atom
1.0
-1.516 -0.460 5.461
0.375 4.509 3.444
-4.726 2.554 1.864
Se Co Y
4 1 1
direct
0.374 0.374 0.374 Se
0.374 0.374 0.878 Se
0.878 0.374 0.374 Se
0.374 0.878 0.374 Se
0.000 0.000 0.000 Co
0.750 0.750 0.750 Y

---

Y3CoSe (PBE-GGA, optimized geometry); symmetry = Pm-3m (221); energy = -6.344 eV per atom; energy above the most stable polymorph in this dataset = 376.7 meV per atom; E_form (uncorrected) = -0.35 eV per atom
1.0
-0.513 3.777 3.474
-4.395 1.479 -2.256
-2.649 -3.185 3.072
Y Se Co
3 1 1
direct
0.500 0.000 0.000 Y
0.000 0.500 0.000 Y
0.000 0.000 0.500 Y
0.500 0.500 0.500 Se
0.000 0.000 0.000 Co

---